So the girls have been getting a lot of questions regarding the blog and what's next.
As many of you know, there is in fact a lynch mob on While yes, they are targeting lesser known fics and big named Edward/Bella fics, the girls are preparing the blog to post stories here as well.
This has actually been in the works long before the fuckery at started to happen.
Will they be posting on as well? Yes.
The story blogs are mainly a back-up plan for most of the stories (like OMS and DaS), as well as a way to enhance your reading pleasure (as demonstrated with
The girls are excited to get each story up on the blog, which will also have added bonuses to reflect that individual story (ie: Playlist, character bios, graphic ect). But they do ask for your patience since this endeavor is going to be a massive one (Cause they are perfectionists lol).
While at this time, there has been no talk from itself, all stories are safe and will remain posted there. At least, until they are told other wise.
Also in light of the plagiarism that has been running rapid on the girls wanted to tell you now, unless you see the names Alsper, Calin-Durus, Kirmit(chocolatebrowneyes) attached to the story,
THEY DO NOT HAVE PERMISSION TO REPOST OUR STORIES. Please report that person as well as the story to the site admin (if it's than you would send and email to Do
not review them. All you're doing is giving them the attention that they obviously think they need, which encourages them.

Unless it's Kayla, then it's okay, just feed her goldfish crackers, hot cheetos or hot fries, but make sure you got plenty of liquids for her to drink xD (Love you bb!)
On that note; thank you to everyone that helped in this past week's fuckery. It is amazing to see what our readers are willing to do to not only protect their favorite stories, but our friends as well!
As you know, both
The Reborn and
Demons & Sinners are coming to a close. Many of you have asked the girls "What's next?".
While they did mention in the latest TR update that they will be taking a short hiatus, that doesn't mean they aren't working. Currently the girls are working hard on the long anticipated story
More Than Friends with their beta Amber; as well as getting more of
Dangerous Beauty written up with the help of their other beta Kim.
[The text is interrupted by crystal structures]
~~~
Compound: Sm2DyGe2
Source: Alexandria via LeMat-Bulk
Functional: PBE
Structure: optimized geometry

Unit cell a=7.6737 b=7.6737 c=4.3447 alpha=90.00 beta=90.00 gamma=90.00
Space group P4/mbm (No. 127)
Symmetry-distinct sites (fractional):
Sm: 0.1740 0.3260 0.0000 (multiplicity 4)
Dy: 0.0000 0.0000 0.5000 (multiplicity 2)
Ge: 0.1231 0.6231 0.5000 (multiplicity 4)

As for the mass density: 7899 kg/m³. The crystal system is tetragonal. Its total DFT energy (no corrections) is -5.439 eV per atom. The calculation puts the energy relative to the elements at -784 meV/atom. The energy above the most stable polymorph in this dataset is 0 meV/atom.

---

Compound: SmDyGeTe
Source: Alexandria via LeMat-Bulk
Functional: PBE
Structure: optimized geometry

Unit cell a=4.2682 b=4.2682 c=22.0082 alpha=90.00 beta=90.00 gamma=120.00
Space group R3m (No. 160, hexagonal axes)
Symmetry-distinct sites (fractional):
Sm: 0.0000 0.0000 0.0000 (multiplicity 3)
Dy: 0.0000 0.0000 0.1893 (multiplicity 3)
Ge: 0.0000 0.0000 0.5947 (multiplicity 3)
Te: 0.0000 0.0000 0.4290 (multiplicity 3)

As for the mass density: 7361 kg/m³. The crystal system is trigonal. As for the uncorrected formation energy: -1.12 eV per atom. Its total DFT energy (no corrections) is -5.395 eV per atom.

---

Compound: SmDyZnGe
Source: Alexandria via LeMat-Bulk
Functional: PBE
Structure: optimized geometry

Unit cell a=4.1306 b=4.2377 c=11.0545 alpha=90.00 beta=90.00 gamma=90.00
Space group Amm2 (No. 38)
Symmetry-distinct sites (fractional):
Sm: 0.0000 0.0000 0.0000 (multiplicity 2)
Dy: 0.5000 0.0000 0.2823 (multiplicity 2)
Zn: 0.5000 0.0000 0.5715 (multiplicity 2)
Ge: 0.0000 0.0000 0.7199 (multiplicity 2)

As for the mass density: 7739 kg/m³. The crystal system is orthorhombic. Its total DFT energy (no corrections) is -4.408 eV per atom. The calculation puts the energy relative to the elements at -605 meV/atom. The energy above the most stable polymorph in this dataset is 0 meV/atom.

---

Compound: SmDyZnGe
Source: Alexandria via LeMat-Bulk
Functional: PBE
Structure: optimized geometry

Unit cell a=7.1754 b=7.1754 c=7.1754 alpha=90.00 beta=90.00 gamma=90.00
Space group F-43m (No. 216)
Symmetry-distinct sites (fractional):
Sm: 0.0000 0.0000 0.0000 (multiplicity 4)
Dy: 0.0000 0.0000 0.5000 (multiplicity 4)
Zn: 0.2500 0.2500 0.7500 (multiplicity 4)
Ge: 0.2500 0.2500 0.2500 (multiplicity 4)

As for the mass density: 8107 kg/m³. The crystal system is cubic. Its total DFT energy (no corrections) is -4.329 eV per atom. The calculation puts the energy relative to the elements at -526 meV/atom. The energy above the most stable polymorph in this dataset is 80 meV/atom.

---

Compound: Dy3SnGe2
Source: Alexandria via LeMat-Bulk
Functional: PBE
Structure: optimized geometry

Unit cell a=4.3783 b=15.8440 c=4.1962 alpha=90.00 beta=90.00 gamma=90.00
Space group Cmmm (No. 65)
Symmetry-distinct sites (fractional):
Dy: 0.0000 0.0000 0.0000 (multiplicity 2)
Dy: 0.0000 0.1710 0.5000 (multiplicity 4)
~~~
[End of the crystal structures]
There are also more outtakes for TR, DaS and even OMS (*holds down ears as the collective squees commence*) that is getting worked on; various one shots and some Support Stacie winning fics.
So fear not, there will be something there for you to hold you over.
The girls also want to thank you all for your patience, support, kindness and overall love for everything they've done. Whether it be under the name of Alsper or their individual work; each and everyone of you continue to inspire and remind them why they started posting in the first place.
We hope you have a great Easter (for those that celebrate!)!